Brief.
The reader should repeat the rows further below character by character.
Data.
┌──
ORCA calculation (the ωB97M-V functional and the def2-TZVPD basis) on 7 unconnected molecules or ions with the total composition C31H53BBrClFO19P2 in a non-equilibrium geometry.

Output
E_HOMO ... -0.147 Ha
Energy ... -176452.803 eV
F_max ... 1.72 eV/A
Gap between HOMO and LUMO ... 0.207 Eh

ORCA input file:
```
! RIJCOSX wB97M-V def2-TZVPD def2/J DEFGRID3
* xyz -1 1
C -1.512 1.518 -3.685
C -1.839 0.801 -4.995
P -1.787 -1.030 -5.040
C -3.151 -1.569 -3.912
C -2.763 -2.113 -2.537
B -0.049 -1.769 -4.452
F -0.252 -3.169 -4.171
C 0.673 -1.056 -3.152
C 1.786 -1.871 -2.546
C 3.191 -1.556 -3.042
Br 1.767 -1.639 -0.545
P 1.295 -1.841 -5.935
O 0.657 -3.066 -6.878
Cl 0.836 -0.255 -7.207
H -1.951 1.008 -2.836
H -1.915 2.533 -3.705
H -0.444 1.622 -3.538
H -2.864 1.054 -5.254
H -1.216 1.191 -5.791
H -3.801 -0.708 -3.765
H -3.732 -2.320 -4.435
H -3.646 -2.189 -1.904
H -2.342 -3.108 -2.633
H -2.049 -1.474 -2.033
H 1.073 -0.078 -3.420
H -0.070 -0.873 -2.388
H 1.602 -2.931 -2.658
H 3.223 -0.594 -3.539
H 3.912 -1.578 -2.235
H 3.496 -2.308 -3.760
H 0.901 -3.878 -6.420
C -2.518 4.376 1.054
C -2.652 3.226 0.093
C -3.731 2.213 0.421
O -3.203 1.013 -0.155
C -1.850 1.120 -0.172
O -1.112 0.228 -0.431
O -1.478 2.385 0.125
H -1.545 4.852 0.941
H -3.292 5.120 0.874
H -2.603 4.035 2.084
H -2.765 3.586 -0.933
H -4.701 2.438 -0.012
H -3.832 2.066 1.499
C -1.404 -2.551 0.941
C -1.530 -3.726 1.869
C -2.647 -4.701 1.561
O -2.950 -5.243 2.860
C -2.616 -4.310 3.782
O -2.910 -4.366 4.935
O -1.905 -3.318 3.212
H -0.820 -1.756 1.398
H -0.906 -2.848 0.021
H -2.382 -2.139 0.688
H -0.576 -4.255 1.952
H -2.366 -5.500 0.882
H -3.534 -4.189 1.183
C -1.982 -3.124 -8.662
C -3.460 -3.041 -8.935
C -3.850 -2.749 -10.370
O -5.110 -2.079 -10.221
C -5.109 -1.481 -8.998
O -5.926 -0.691 -8.645
O -4.068 -1.913 -8.267
H -1.761 -2.995 -7.603
H -1.596 -4.092 -8.986
H -1.441 -2.339 -9.191
H -3.971 -3.939 -8.574
H -3.971 -3.634 -10.989
H -3.145 -2.061 -10.841
C 1.214 5.749 4.971
C 0.307 6.400 5.981
C -0.588 5.485 6.796
O -1.716 6.343 7.068
C -1.801 7.252 6.075
O -2.728 7.976 5.889
O -0.685 7.222 5.316
H 1.545 6.486 4.239
H 2.082 5.327 5.469
H 0.700 4.951 4.435
H 0.877 7.054 6.646
H -0.140 5.140 7.719
H -0.940 4.632 6.211
C 5.339 0.971 7.961
C 3.942 1.404 7.606
C 3.700 1.832 6.171
O 2.615 2.778 6.333
C 2.712 3.308 7.567
O 2.108 4.267 7.949
O 3.590 2.619 8.314
H 5.473 1.007 9.041
H 5.519 -0.045 7.614
H 6.080 1.623 7.500
H 3.216 0.642 7.900
H 3.394 1.034 5.507
H 4.551 2.357 5.742
C 5.760 -3.319 2.104
C 5.069 -2.310 2.982
C 4.404 -1.154 2.268
O 4.481 -0.107 3.265
C 5.550 -0.368 4.048
O 6.029 0.386 4.843
O 6.021 -1.604 3.814
H 6.464 -3.910 2.689
H 5.026 -3.987 1.657
H 6.314 -2.826 1.305
H 4.361 -2.803 3.652
H 3.376 -1.352 1.982
H 4.966 -0.831 1.391
*
```

----------

No. 1
An isolated molecule of CH3ClN2O2 at a distorted geometry, computed with ωB97M-V with the def2-TZVPD basis set.

```
9
Properties=species:S:1:pos:R:3:forces:R:3:lowdin_charge:R:1
C -0.554 0.425 0.881 0.42 -0.42 0.67 -0.09
└──
Written answer.
ORCA calculation (the ωB97M-V functional and the def2-TZVPD basis) on 7 unconnected molecules or ions with the total composition C31H53BBrClFO19P2 in a non-equilibrium geometry.

Output
E_HOMO ... -0.147 Ha
Energy ... -176452.803 eV
F_max ... 1.72 eV/A
Gap between HOMO and LUMO ... 0.207 Eh

ORCA input file:
```
! RIJCOSX wB97M-V def2-TZVPD def2/J DEFGRID3
* xyz -1 1
C -1.512 1.518 -3.685
C -1.839 0.801 -4.995
P -1.787 -1.030 -5.040
C -3.151 -1.569 -3.912
C -2.763 -2.113 -2.537
B -0.049 -1.769 -4.452
F -0.252 -3.169 -4.171
C 0.673 -1.056 -3.152
C 1.786 -1.871 -2.546
C 3.191 -1.556 -3.042
Br 1.767 -1.639 -0.545
P 1.295 -1.841 -5.935
O 0.657 -3.066 -6.878
Cl 0.836 -0.255 -7.207
H -1.951 1.008 -2.836
H -1.915 2.533 -3.705
H -0.444 1.622 -3.538
H -2.864 1.054 -5.254
H -1.216 1.191 -5.791
H -3.801 -0.708 -3.765
H -3.732 -2.320 -4.435
H -3.646 -2.189 -1.904
H -2.342 -3.108 -2.633
H -2.049 -1.474 -2.033
H 1.073 -0.078 -3.420
H -0.070 -0.873 -2.388
H 1.602 -2.931 -2.658
H 3.223 -0.594 -3.539
H 3.912 -1.578 -2.235
H 3.496 -2.308 -3.760
H 0.901 -3.878 -6.420
C -2.518 4.376 1.054
C -2.652 3.226 0.093
C -3.731 2.213 0.421
O -3.203 1.013 -0.155
C -1.850 1.120 -0.172
O -1.112 0.228 -0.431
O -1.478 2.385 0.125
H -1.545 4.852 0.941
H -3.292 5.120 0.874
H -2.603 4.035 2.084
H -2.765 3.586 -0.933
H -4.701 2.438 -0.012
H -3.832 2.066 1.499
C -1.404 -2.551 0.941
C -1.530 -3.726 1.869
C -2.647 -4.701 1.561
O -2.950 -5.243 2.860
C -2.616 -4.310 3.782
O -2.910 -4.366 4.935
O -1.905 -3.318 3.212
H -0.820 -1.756 1.398
H -0.906 -2.848 0.021
H -2.382 -2.139 0.688
H -0.576 -4.255 1.952
H -2.366 -5.500 0.882
H -3.534 -4.189 1.183
C -1.982 -3.124 -8.662
C -3.460 -3.041 -8.935
C -3.850 -2.749 -10.370
O -5.110 -2.079 -10.221
C -5.109 -1.481 -8.998
O -5.926 -0.691 -8.645
O -4.068 -1.913 -8.267
H -1.761 -2.995 -7.603
H -1.596 -4.092 -8.986
H -1.441 -2.339 -9.191
H -3.971 -3.939 -8.574
H -3.971 -3.634 -10.989
H -3.145 -2.061 -10.841
C 1.214 5.749 4.971
C 0.307 6.400 5.981
C -0.588 5.485 6.796
O -1.716 6.343 7.068
C -1.801 7.252 6.075
O -2.728 7.976 5.889
O -0.685 7.222 5.316
H 1.545 6.486 4.239
H 2.082 5.327 5.469
H 0.700 4.951 4.435
H 0.877 7.054 6.646
H -0.140 5.140 7.719
H -0.940 4.632 6.211
C 5.339 0.971 7.961
C 3.942 1.404 7.606
C 3.700 1.832 6.171
O 2.615 2.778 6.333
C 2.712 3.308 7.567
O 2.108 4.267 7.949
O 3.590 2.619 8.314
H 5.473 1.007 9.041
H 5.519 -0.045 7.614
H 6.080 1.623 7.500
H 3.216 0.642 7.900
H 3.394 1.034 5.507
H 4.551 2.357 5.742
C 5.760 -3.319 2.104
C 5.069 -2.310 2.982
C 4.404 -1.154 2.268
O 4.481 -0.107 3.265
C 5.550 -0.368 4.048
O 6.029 0.386 4.843
O 6.021 -1.604 3.814
H 6.464 -3.910 2.689
H 5.026 -3.987 1.657
H 6.314 -2.826 1.305
H 4.361 -2.803 3.652
H 3.376 -1.352 1.982
H 4.966 -0.831 1.391
*
```

----------

No. 1
An isolated molecule of CH3ClN2O2 at a distorted geometry, computed with ωB97M-V with the def2-TZVPD basis set.

```
9
Properties=species:S:1:pos:R:3:forces:R:3:lowdin_charge:R:1
C -0.554 0.425 0.881 0.42 -0.42 0.67 -0.09